_Request_
The reader should say how many lines of the material further down hold the word "data_LaIr3", as a bare number.

_Input_
+++
Entry 1:
This entry pairs a crystal structure of CeBe2Pt5 with its simulated PXRD pattern. Radiation: a wavelength of 1.5418 Å. Structure: a structure optimized by DFT (PBE).
Kinematic intensities with the Lorentz-polarization factor, no thermal factor.

Cell and atoms:
```
data_CeBe2Pt5
_chemical_formula_sum 'Ce2 Be4 Pt10'
_cell_length_a 3.9027
_cell_length_b 6.7084
_cell_length_c 9.5736
_cell_angle_alpha 90.00
_cell_angle_beta 90.00
_cell_angle_gamma 90.00
_symmetry_space_group_name_H-M 'I m m m'
_symmetry_Int_Tables_number 71
_symmetry_space_group_name_Hall '-I 2 2'
loop_
_atom_site_label
_atom_site_type_symbol
_atom_site_fract_x
_atom_site_fract_y
_atom_site_fract_z
Ce1 Ce 0.0000 0.0000 0.0000
Be1 Be 0.0000 0.5000 0.2342
Pt1 Pt 0.0000 0.2067 0.3502
Pt2 Pt 0.0000 0.5000 0.0000
```

Top 8 peaks for 2θ from 10° to 80°, by intensity:
2θ 36.37, d = 2.470 Å, I = 100.0, (1 0 3)
2θ 36.55, d = 2.458 Å, I = 91.4, (1 2 1)
2θ 46.58, d = 1.950 Å, I = 67.0, (2 0 0)
2θ 32.60, d = 2.747 Å, I = 32.4, (0 2 2)
2θ 79.58, d = 1.205 Å, I = 28.0, (3 0 3)
2θ 67.99, d = 1.379 Å, I = 22.5, (2 2 4)
2θ 16.13, d = 5.494 Å, I = 19.5, (0 1 1)
2θ 46.82, d = 1.940 Å, I = 17.3, (1 3 0)

Entry 2:
This entry pairs a crystal structure of LaIr3 with its simulated PXRD pattern. Radiation: a wavelength of 1.5418 Å. Structure: a structure optimized by DFT (PBE).
Kinematic intensities with the Lorentz-polarization factor, no thermal factor.

Cell and atoms:
```
data_LaIr3
_chemical_formula_sum 'La9 Ir27'
_cell_length_a 5.4094
_cell_length_b 5.4094
_cell_length_c 26.7209
_cell_angle_alpha 90.00
_cell_angle_beta 90.00
_cell_angle_gamma 120.00
_symmetry_space_group_name_H-M 'R -3 m'
_symmetry_Int_Tables_number 166
_symmetry_space_group_name_Hall '-R 3 2"'
loop_
_atom_site_label
_atom_site_type_symbol
_atom_site_fract_x
_atom_site_fract_y
_atom_site_fract_z
La1 La 0.0000 0.0000 0.0000
La2 La 0.0000 0.0000 0.1396
Ir1 Ir 0.0000 0.0000 0.3317
Ir2 Ir 0.0000 0.0000 0.5000
Ir3 Ir 0.0044 0.5022 0.0802
```

Top 8 peaks for 2θ from 10° to 80°, by intensity:
2θ 38.97, d = 2.311 Å, I = 100.0, (1 1 6)
2θ 42.12, d = 2.145 Å, I = 37.5, (2 0 5)
2θ 19.24, d = 4.614 Å, I = 27.3, (1 0 1)
2θ 38.58, d = 2.333 Å, I = 25.7, (0 2 1)
2θ 40.51, d = 2.227 Å, I = 24.5, (0 0 12)
2θ 45.41, d = 1.997 Å, I = 24.4, (0 2 7)
2θ 69.51, d = 1.352 Å, I = 23.9, (2 2 0)
2θ 63.09, d = 1.474 Å, I = 21.3, (0 3 6)

Entry 3:
This entry pairs a crystal structure of Tb12Nd2Dy with its simulated PXRD pattern. Radiation: a wavelength of 1.5418 Å. Structure: a structure optimized by DFT (PBE).
Kinematic intensities with the Lorentz-polarization factor, no thermal factor.

Cell and atoms:
```
data_Tb12Nd2Dy
_chemical_formula_sum 'Tb48 Nd8 Dy4'
_cell_length_a 7.1177
_cell_length_b 11.2732
_cell_length_c 24.5551
_cell_angle_alpha 90.00
_cell_angle_beta 94.19
_cell_angle_gamma 90.00
_symmetry_space_group_name_H-M 'C 1 2/m 1'
_symmetry_Int_Tables_number 12
loop_
_symmetry_equiv_pos_as_xyz
'x,y,z'
'-x,-y,-z'
'-x,y,-z'
'x,-y,z'
'x+1/2,y+1/2,z'
'-x+1/2,-y+1/2,-z'
'-x+1/2,y+1/2,-z'
'x+1/2,-y+1/2,z'
loop_
_atom_site_label
_atom_site_type_symbol
_atom_site_fract_x
_atom_site_fract_y
_atom_site_fract_z
Tb1 Tb 0.0166 0.2500 0.0729
Tb2 Tb 0.1119 0.2494 0.4449
Tb3 Tb 0.1419 0.5000 0.5727
Tb4 Tb 0.1430 0.0000 0.5719
Tb5 Tb 0.1683 0.2496 0.6698
Tb6 Tb 0.2013 0.2503 0.8001
Tb7 Tb 0.2176 0.0000 0.8644
Tb8 Tb 0.2178 0.5000 0.8649
Nd1 Nd 0.0666 0.5000 0.2723
Nd2 Nd 0.0677 0.0000 0.2725
Dy1 Dy 0.2499 0.0000 0.9998
```

Top 8 peaks for 2θ from 10° to 80°, by intensity:
2θ 31.75, d = 2.818 Å, I = 100.0, (0 4 0)
2θ 30.06, d = 2.972 Å, I = 90.6, (0 2 7)
2θ 32.39, d = 2.764 Å, I = 87.8, (2 2 -4)
2θ 31.09, d = 2.877 Å, I = 68.6, (2 2 2)
2θ 33.31, d = 2.690 Å, I = 54.5, (0 2 8)
2θ 30.20, d = 2.959 Å, I = 52.7, (2 2 1)
2θ 32.20, d = 2.780 Å, I = 49.5, (2 0 -6)
2θ 45.85, d = 1.979 Å, I = 37.3, (2 4 -6)
+++

_Outcome_
1